Ruesink JLBiotic resistance and facilitation of a non-native oyster on rocky shores MEPS 331:1-9 | More Information... | Full text in pdf format |
Miller WD, Harding Jr LW
Climate forcing of the spring bloom in Chesapeake Bay
MEPS 331:11-22 | Full text in pdf format
Rosenberg R, Davey E, Gunnarsson J, Norling K, Frank M
Application of computer-aided tomography to visualize and quantify biogenic structures in marine sediments
MEPS 331:23-34 | Full text in pdf format
Hunt CD, Tanis D, Bruce E, Taylor M
Optical signatures of seawater and potential use for verification of mid-ocean ballast water exchange
MEPS 331:35-47 | Full text in pdf format
Moody RM, Aronson RB
Trophic heterogeneity in salt marshes of the northern Gulf of Mexico
MEPS 331:49-65 | Full text in pdf format
Olsen Y, Andersen T, Gismervik I, VadsteinO
Protozoan and metazoan zooplankton-mediated carbon flows in nutrient-enriched coastal planktonic communities
MEPS 331:67-83 | Full text in pdf format
D’Alessandro E, Sponaugle S, Lee T
Patterns and processes of larval fish supply to the coral reefs of the upper Florida Keys
MEPS 331:85-100 | Full text in pdf format
Price ARG, Keeling MJ, Stewart IN
A robustness metric integrating spatial and temporal information: application to coral reefs exposed to local and regional disturbances
MEPS 331:101-108 | Full text in pdf format
Walker JW
Effects of fine sediments on settlement and survival of the sea urchin Evechinus chloroticus in northeastern New Zealand
MEPS 331:109-118 | Full text in pdf format
Henriksen CI, Saiz E, Calbet A, Hansen BW
Feeding activity and swimming patterns of Acartia grani and Oithona davisae nauplii in the presence of motile and non-motile prey
MEPS 331:119-129 | Full text in pdf format
Thor P, Koski M, Tang KW, Jónasdóttir SH
Supplemental effects of diet mixing on absorption of ingested organic carbon in the marine copepod Acartia tonsa
MEPS 331:131-138 | Full text in pdf format
Langer G, Nehrke G, Jansen S
Dissolution of Calcidiscus leptoporus coccoliths in copepod guts? A morphological study
MEPS 331:139-146 | Full text in pdf format
Bricelj VM, MacQuarrie SP
Effects of brown tide (Aureococcus anophagefferens) on hard clam Mercenaria mercenaria larvae and implications for benthic recruitment
MEPS 331:147-159 | Full text in pdf format
Tarling GA, Cuzin-Roudy J, Thorpe SE, Shreeve RS, Ward P, Murphy EJ
Recruitment of Antarctic krill Euphausia superba in the South Georgia region: adult fecundity and the fate of larvae
MEPS 331:161-179 | Full text in pdf format
Sheader M, Van Dover CL
Temporal and spatial variation in the reproductive ecology of the vent-endemic amphipod Ventiella sulfuris in the eastern Pacific
MEPS 331:181-194 | Full text in pdf format
Karlson K
Diurnal bioturbating activities of Monoporeia affinis: effects on benthic oxygen and nutrient fluxes
MEPS 331:195-205 | Full text in pdf format
Bowlby HD, Hanson JM, Hutchings JA
Resident and dispersal behavior among individuals within a population of American lobster Homarus americanus
MEPS 331:207-218 | Full text in pdf format
Keenan SF, Benfield MC, Blackburn JK
Importance of the artificial light field around offshore petroleum platforms for the associated fish community
MEPS 331:219-231 | Full text in pdf format
Someone pasted data records at this point >
Here is a relaxed structure of Mg2TiMn from Alexandria via LeMat-Bulk. Energies are from PBE-GGA.

Summary:
Density: 3.6 g cm⁻³
Crystal system: tetragonal
ΔE_f: 0.77 eV/atom
Symmetry: I-42d (122)

Lattice parameters (Å, degrees): 7.410 7.410 5.839 50.61 50.61 90.00
Positions (direct):
Ti1 0.500 0.500 0.000
Ti2 0.250 0.750 0.500
Mg1 0.093 0.625 0.250
Mg2 0.657 0.125 0.250
Mg3 0.875 0.907 0.750
Mg4 0.375 0.343 0.750
Mn1 0.750 0.250 0.500
Mn2 0.000 0.000 0.000

=====

Here is a relaxed structure of CdHgP2 from Alexandria via LeMat-Bulk. Energies are from PBE-GGA.

Summary:
Density: 6.8 g cm⁻³
Crystal system: orthorhombic
ΔE_f: 0.20 eV/atom
Symmetry: Amm2 (38)

Lattice parameters (Å, degrees): 5.282 4.450 4.510 59.54 90.00 90.00
Positions (direct):
P1 0.500 0.062 0.156
P2 0.000 0.179 0.098
Cd1 0.000 0.499 0.438
Hg1 0.500 0.759 0.808

=====

Here is a relaxed structure of Li2Pm3YSe6 from Alexandria via LeMat-Bulk. Energies are from PBE-GGA.

Summary:
Density: 5.7 g cm⁻³
Crystal system: monoclinic
Formation energy without anion corrections: -167.90 kJ per mole of atoms
Symmetry: C2/m (12)

Lattice parameters (Å, degrees): 7.127 7.127 7.105 99.63 99.63 120.00
Positions (direct):
Y1 0.000 0.000 0.000
Se1 0.741 0.741 0.236
Se2 0.416 0.078 0.235
Se3 0.584 0.922 0.765
Se4 0.259 0.259 0.764
Se5 0.922 0.584 0.765
Se6 0.078 0.416 0.235
Pm1 0.833 0.167 0.500
Pm2 0.500 0.500 0.500
Pm3 0.167 0.833 0.500
Li1 0.667 0.333 0.000
Li2 0.333 0.667 0.000

=====

Here is a relaxed structure of PuCd2Sn from Alexandria via LeMat-Bulk. Energies are from PBE-GGA.

Summary:
Density: 9.4 g cm⁻³
Crystal system: tetragonal
ΔE_f: -0.02 eV/atom
Symmetry: P4/mmm (123)

Lattice parameters (Å, degrees): 3.955 3.955 6.633 90.00 90.00 90.00
Positions (direct):
Cd1 0.000 0.000 0.761
Cd2 0.000 0.000 0.239
Sn1 0.500 0.500 0.000
Pu1 0.500 0.500 0.500

=====

Here is a relaxed structure of KCd3Ga from Alexandria via LeMat-Bulk. Energies are from PBE-GGA.

Summary:
Density: 5.3 g cm⁻³
Crystal system: orthorhombic
ΔE_f: -0.07 eV/atom
Symmetry: Cmcm (63)

Lattice parameters (Å, degrees): 6.839 6.838 6.967 90.00 90.00 58.37
Positions (direct):
K1 0.529 0.731 0.552
K2 0.032 0.235 0.052
Cd1 0.525 0.238 0.802
Cd2 0.035 0.728 0.302
Cd3 0.035 0.728 0.802
Cd4 0.430 0.633 0.052
Cd5 0.525 0.238 0.302
Cd6 0.130 0.333 0.552
Ga1 0.901 0.104 0.552
Ga2 0.660 0.862 0.052

=====

Here is a relaxed structure of ScTl2Os from Alexandria via LeMat-Bulk. Energies are from PBE-GGA.

Summary:
Density: 13.1 g cm⁻³
Crystal system: tetragonal
ΔE_f: 0.38 eV/atom
Symmetry: P4/mmm (123)

Lattice parameters (Å, degrees): 4.246 4.246 4.527 90.00 90.00 89.99
Positions (direct):
Tl1 0.500 0.500 0.000
Tl2 0.000 0.000 0.000
Sc1 0.000 0.500 0.500
Os1 0.500 0.000 0.500

=====

Here is a relaxed structure of CaHg4Pb7 from Alexandria via LeMat-Bulk. Energies are from PBE-GGA.

Summary:
Density: 10.4 g cm⁻³
Crystal system: monoclinic
ΔE_f: 0.03 eV/atom
Symmetry: C2/m (12)
Bang A, Grønkjær P, Folkvord A
Possible fitness costs of high and low standard metabolic rates in larval herring Clupea harengus, as determined by otolith microstructure
MEPS 331:233-242 | Full text in pdf format
Sarà G, Dean JM, D’Amato D, Buscaino G, Oliveri A, Genovese S, Ferro S, Buffa G, Martire ML, Mazzola S
Effect of boat noise on the behaviour of bluefin tuna Thunnus thynnus in the Mediterranean Sea
MEPS 331:243-253 | Full text in pdf format
Erwin CA, Congdon BC
Day-to-day variation in sea-surface temperature reduces sooty tern Sterna fuscata foraging success on the Great Barrier Reef, Australia
MEPS 331:255-266 | Full text in pdf format
Enstipp MR, Grémillet D, Jones DR
Investigating the functional link between prey abundance and seabird predatory performance
MEPS 331:267-279 | Full text in pdf format
Field IC, Bradshaw CJA, Burton HR, Hindell MA
Differential resource allocation strategies in juvenile elephant seals in the highly seasonal Southern Ocean
MEPS 331:281-290 | Full text in pdf format
Cusson M, Archambault P, Aitken A
Biodiversity of benthic assemblages on the Arctic continental shelf: historical data from Canada
MEPS 331:291-304 | Full text in pdf format
Durbin EG, Campbell RG
Reassessment of the gut pigment method for estimating in situ zooplankton ingestion
MEPS 331:305-307 | Full text in pdf format
Ropert-Coudert et al. Vol. 328:275-284, 2006
MEPS 331:309 | Full text in pdf format